File.
=====
Here is an optimized crystal structure of ZrUSe2 from Alexandria. Energies are from PBE.

Values from the calculation:
* Fermi-level density of states: 24.4 states/eV/cell
* crystal system: trigonal

Cell: 3.5778 3.5778 27.7533 Å, 90.00 90.00 120.00°
Space group R-3m (No. 166, hexagonal axes)
Inequivalent atoms, fractional coordinates:
Zr: 0.0000 0.0000 0.0000 [3 per cell]
U: 0.0000 0.0000 0.5000 [3 per cell]
Se: 0.0000 0.0000 0.3961 [6 per cell]

Here is an optimized crystal structure of ZrU2Se5 from Alexandria. Energies are from PBE.

Values from the calculation:
* Fermi-level density of states: 9.3 states/eV/cell
* crystal system: tetragonal

Cell: 6.9038 6.9038 4.7418 Å, 90.00 90.00 90.00°
Space group P4/mmm (No. 123)
Inequivalent atoms, fractional coordinates:
Zr: 0.0000 0.0000 0.0000 [1 per cell]
U: 0.0000 0.5000 0.5000 [2 per cell]
Se: 0.0000 0.0000 0.5000 [1 per cell]
Se: 0.2735 0.2735 0.0000 [4 per cell]

Here is an optimized crystal structure of ZrU5Se6 from Alexandria. Energies are from PBE.

Values from the calculation:
* Fermi-level density of states: 48.5 states/eV/cell
* crystal system: monoclinic

Cell: 7.1394 11.9122 6.8802 Å, 90.00 108.76 90.00°
Space group C2/m (No. 12)
Inequivalent atoms, fractional coordinates:
Zr: 0.0000 0.0000 0.0000 [2 per cell]
U: 0.0000 0.1716 0.5000 [4 per cell]
U: 0.0000 0.3374 0.0000 [4 per cell]
U: 0.0000 0.5000 0.5000 [2 per cell]
Se: 0.2379 0.0000 0.7474 [4 per cell]
Se: 0.2415 0.1638 0.2416 [8 per cell]

Here is an optimized crystal structure of VSe from Alexandria. Energies are from PBE.

Values from the calculation:
* Fermi-level density of states: 9.4 states/eV/cell
* crystal system: cubic

Cell: 7.1044 7.1044 7.1044 Å, 90.00 90.00 90.00°
Space group Pm-3n (No. 223)
Inequivalent atoms, fractional coordinates:
V: 0.0000 0.2500 0.5000 [6 per cell]
Se: 0.0000 0.5000 0.2500 [6 per cell]

Here is an optimized crystal structure of VSe from Alexandria. Energies are from PBE.

Values from the calculation:
* Fermi-level density of states: 7.0 states/eV/cell
* crystal system: cubic

Cell: 5.7644 5.7644 5.7644 Å, 90.00 90.00 90.00°
Space group F-43m (No. 216)
Inequivalent atoms, fractional coordinates:
V: 0.0000 0.0000 0.0000 [4 per cell]
Se: 0.2500 0.2500 0.7500 [4 per cell]

Here is an optimized crystal structure of V5Se6 from Alexandria. Energies are from PBE.

Values from the calculation:
* Fermi-level density of states: 26.8 states/eV/cell
* crystal system: monoclinic

Cell: 6.4673 11.0007 6.4648 Å, 90.00 109.85 90.00°
Space group C2/m (No. 12)
Inequivalent atoms, fractional coordinates:
V: 0.0000 0.0000 0.0000 [2 per cell]
V: 0.0000 0.1528 0.5000 [4 per cell]
V: 0.0000 0.3166 0.0000 [4 per cell]
Se: 0.2448 0.3327 0.7438 [8 per cell]
Se: 0.2457 0.5000 0.2289 [4 per cell]

Here is an optimized crystal structure of VSe from Alexandria. Energies are from PBE.

Values from the calculation:
* Fermi-level density of states: 7.1 states/eV/cell
* crystal system: tetragonal

Cell: 10.4927 10.4927 3.3600 Å, 90.00 90.00 90.00°
Space group I4/m (No. 87)
Inequivalent atoms, fractional coordinates:
V: 0.1687 0.7150 0.0000 [8 per cell]
Se: 0.0659 0.2503 0.0000 [8 per cell]

Here is an optimized crystal structure of VSe from Alexandria. Energies are from PBE.

Values from the calculation:
* Fermi-level density of states: 7.1 states/eV/cell
* crystal system: orthorhombic

Cell: 3.3054 10.8714 6.1311 Å, 90.00 90.00 90.00°
Space group Amm2 (No. 38)
Inequivalent atoms, fractional coordinates:
V: 0.0000 0.0000 0.0000 [2 per cell]
V: 0.5000 0.1886 0.0436 [4 per cell]
Se: 0.0000 0.1692 0.7356 [4 per cell]
Se: 0.5000 0.0000 0.2922 [2 per cell]

Here is an optimized crystal structure of VSe from Alexandria. Energies are from PBE.

Values from the calculation:
* Fermi-level density of states: 4.5 states/eV/cell
* crystal system: hexagonal

Cell: 3.4590 3.4590 6.8109 Å, 90.00 90.00 120.00°
Space group P6_3/mmc (No. 194)
Inequivalent atoms, fractional coordinates:
V: 0.3333 0.6667 0.2500 [2 per cell]
=====

What to do.
Say how many lines of the lines earlier on hold the word "Space", as a bare number, please.

Reply.
9